== Wanted ==
Restate all of the rows further down word for word.
== Source ==
/*
ORCA calculation (ωB97M-V with the def2-TZVPD basis set) on a structure of composition C35H45BiN4OP2S3Se.

## Properties
HOMO energy = -0.2620 Eh
molar mass = 983.861 u
E_LUMO = 0.26 eV
F_max = 0.7 eV/A
frontier orbital gap = 7.3926 eV

The geometry in XYZ format:
```
92
Properties=species:S:1:pos:R:3:forces:R:3
Bi 1.007136 -0.422081 -0.142716 -0.35 0.04 0.01
Se -1.366017 1.735277 1.132148 -0.10 0.08 -0.07
S 0.324189 -1.828054 1.874929 0.04 0.05 0.12
S -0.066152 -2.031118 -1.883307 0.00 0.17 -0.32
S 3.300516 -1.396258 0.264437 0.18 0.02 0.07
P 2.784317 2.751785 0.793679 0.13 -0.07 0.08
P 2.792675 1.273778 -2.284001 0.69 -0.15 -0.23
O -0.500397 1.081088 -2.589784 0.05 0.10 0.09
N -2.606411 0.432653 3.310553 -0.10 -0.07 0.07
N -2.992778 -0.618187 1.450118 -0.08 0.01 0.09
N -0.344766 -4.591077 -2.278224 0.08 0.03 -0.09
N 1.448956 -3.991790 -0.844586 0.07 0.15 0.03
C 4.322370 1.900194 -1.423338 -0.20 0.09 0.06
C -3.077509 -0.959901 0.048718 0.00 -0.08 -0.15
C -1.904691 3.608255 -1.909578 0.08 0.01 -0.05
C -2.376960 0.467592 1.974422 0.07 -0.11 0.17
C -3.599053 -1.354648 2.463025 0.06 0.00 -0.01
C 4.198438 -3.077796 2.159183 -0.04 0.06 0.05
C 1.847723 -2.575263 2.363122 -0.05 -0.02 -0.05
C -4.313123 -2.539826 2.429075 0.00 -0.02 -0.02
C -4.125793 4.507626 -1.519177 0.06 -0.03 -0.04
C -0.419981 3.817904 -1.785167 -0.04 -0.09 0.07
C 2.677654 4.418003 1.575930 -0.05 -0.15 -0.10
C 4.031700 3.118832 -0.530630 -0.15 -0.16 -0.07
C -3.357743 -0.680256 3.657169 -0.01 0.02 -0.07
C 1.087757 -6.270044 -1.385006 -0.04 0.02 -0.03
C 0.013194 -5.863553 -2.156745 -0.01 0.09 0.03
C -2.473574 2.446668 -2.464256 -0.09 0.23 0.14
C -1.656275 1.300050 -2.882627 -0.16 -0.27 -0.15
C -4.549221 1.155928 -3.232598 0.05 0.06 0.05
C 1.791535 -5.272720 -0.721325 0.04 -0.12 0.00
C -4.670656 3.369251 -2.102036 -0.07 0.07 0.05
C 0.416743 -3.702776 -1.626669 -0.22 -0.18 0.22
C 2.943770 -4.033371 3.961532 0.00 -0.03 0.01
C -3.873983 2.346064 -2.587753 0.07 -0.12 -0.07
C 1.812929 -3.382697 3.504627 -0.01 -0.03 -0.04
C -3.849745 -1.147391 4.863274 0.03 0.05 0.03
C 2.968099 -5.577414 0.155414 -0.10 0.03 -0.03
C -2.743553 4.615948 -1.456304 0.01 0.02 -0.02
C 3.468450 -0.227099 -3.115505 -0.04 0.13 0.02
C -4.574990 -2.329894 4.833117 0.00 0.01 0.01
C 2.824849 2.378672 -3.761942 -0.26 0.02 0.22
C 3.882629 1.942179 2.034126 -0.07 0.11 -0.06
C 3.062722 -2.410067 1.690187 0.08 -0.02 0.01
C -5.000944 5.600229 -0.972937 0.04 -0.01 -0.02
C -4.795669 -3.017629 3.639183 0.00 -0.02 -0.02
C 4.144841 -3.887227 3.278779 0.04 0.01 -0.04
H -4.475234 -3.078154 1.504857 0.00 0.02 0.00
H 3.202099 -6.640578 0.143554 0.02 -0.01 0.03
H 5.035014 -4.407655 3.608718 0.00 0.04 0.03
H -2.566837 -1.901208 -0.152892 0.05 0.01 0.03
H 5.132386 -2.948067 1.625755 -0.01 -0.02 0.00
H -4.977609 -2.727962 5.755037 0.02 0.00 0.00
H 2.755786 -5.260656 1.178125 0.02 -0.03 -0.02
H 3.834984 -5.009797 -0.185068 -0.01 0.00 0.02
H 3.659510 4.765873 1.903401 -0.01 0.04 0.00
H -5.749118 3.280551 -2.178225 0.01 -0.01 -0.01
H 0.872300 -3.494621 4.029822 0.01 -0.01 -0.01
H -4.256498 1.054774 -4.278734 -0.01 -0.05 0.00
H 2.888188 -4.651215 4.848863 -0.01 -0.01 -0.02
H -4.126349 -1.044270 -0.242539 0.01 0.03 0.01
H -2.600227 -0.170913 -0.527422 0.01 0.03 0.02
H -3.678588 -0.610755 5.787332 0.01 -0.04 0.00
H -2.188054 0.558703 -3.504503 0.04 -0.01 -0.02
H -5.349922 -3.946660 3.657904 -0.01 0.02 0.00
H -2.296820 5.508717 -1.029568 -0.02 -0.01 0.00
H 3.626761 3.933580 -1.139880 0.01 0.03 0.04
H 4.743840 2.576092 2.259947 0.02 -0.02 0.03
H 2.696432 -0.604175 -3.788970 0.03 -0.03 -0.01
H 3.793834 2.304826 -4.257680 0.00 0.02 -0.04
H 1.363522 -7.311701 -1.298803 0.00 0.01 -0.01
H -4.815920 5.734139 0.094234 -0.04 0.00 0.00
H 4.947583 3.482926 -0.056577 0.04 0.04 -0.07
H 0.143000 3.219689 -2.493999 0.04 0.07 -0.02
H -6.056153 5.372909 -1.116731 0.00 0.01 0.02
H -2.218460 1.118962 3.932794 0.05 0.02 -0.03
H 2.036776 2.070097 -4.450229 0.02 0.03 -0.01
H 3.309008 1.777492 2.948084 0.04 -0.03 0.01
*/
== Worked solution ==
ORCA calculation (ωB97M-V with the def2-TZVPD basis set) on a structure of composition C35H45BiN4OP2S3Se.

## Properties
HOMO energy = -0.2620 Eh
molar mass = 983.861 u
E_LUMO = 0.26 eV
F_max = 0.7 eV/A
frontier orbital gap = 7.3926 eV

The geometry in XYZ format:
```
92
Properties=species:S:1:pos:R:3:forces:R:3
Bi 1.007136 -0.422081 -0.142716 -0.35 0.04 0.01
Se -1.366017 1.735277 1.132148 -0.10 0.08 -0.07
S 0.324189 -1.828054 1.874929 0.04 0.05 0.12
S -0.066152 -2.031118 -1.883307 0.00 0.17 -0.32
S 3.300516 -1.396258 0.264437 0.18 0.02 0.07
P 2.784317 2.751785 0.793679 0.13 -0.07 0.08
P 2.792675 1.273778 -2.284001 0.69 -0.15 -0.23
O -0.500397 1.081088 -2.589784 0.05 0.10 0.09
N -2.606411 0.432653 3.310553 -0.10 -0.07 0.07
N -2.992778 -0.618187 1.450118 -0.08 0.01 0.09
N -0.344766 -4.591077 -2.278224 0.08 0.03 -0.09
N 1.448956 -3.991790 -0.844586 0.07 0.15 0.03
C 4.322370 1.900194 -1.423338 -0.20 0.09 0.06
C -3.077509 -0.959901 0.048718 0.00 -0.08 -0.15
C -1.904691 3.608255 -1.909578 0.08 0.01 -0.05
C -2.376960 0.467592 1.974422 0.07 -0.11 0.17
C -3.599053 -1.354648 2.463025 0.06 0.00 -0.01
C 4.198438 -3.077796 2.159183 -0.04 0.06 0.05
C 1.847723 -2.575263 2.363122 -0.05 -0.02 -0.05
C -4.313123 -2.539826 2.429075 0.00 -0.02 -0.02
C -4.125793 4.507626 -1.519177 0.06 -0.03 -0.04
C -0.419981 3.817904 -1.785167 -0.04 -0.09 0.07
C 2.677654 4.418003 1.575930 -0.05 -0.15 -0.10
C 4.031700 3.118832 -0.530630 -0.15 -0.16 -0.07
C -3.357743 -0.680256 3.657169 -0.01 0.02 -0.07
C 1.087757 -6.270044 -1.385006 -0.04 0.02 -0.03
C 0.013194 -5.863553 -2.156745 -0.01 0.09 0.03
C -2.473574 2.446668 -2.464256 -0.09 0.23 0.14
C -1.656275 1.300050 -2.882627 -0.16 -0.27 -0.15
C -4.549221 1.155928 -3.232598 0.05 0.06 0.05
C 1.791535 -5.272720 -0.721325 0.04 -0.12 0.00
C -4.670656 3.369251 -2.102036 -0.07 0.07 0.05
C 0.416743 -3.702776 -1.626669 -0.22 -0.18 0.22
C 2.943770 -4.033371 3.961532 0.00 -0.03 0.01
C -3.873983 2.346064 -2.587753 0.07 -0.12 -0.07
C 1.812929 -3.382697 3.504627 -0.01 -0.03 -0.04
C -3.849745 -1.147391 4.863274 0.03 0.05 0.03
C 2.968099 -5.577414 0.155414 -0.10 0.03 -0.03
C -2.743553 4.615948 -1.456304 0.01 0.02 -0.02
C 3.468450 -0.227099 -3.115505 -0.04 0.13 0.02
C -4.574990 -2.329894 4.833117 0.00 0.01 0.01
C 2.824849 2.378672 -3.761942 -0.26 0.02 0.22
C 3.882629 1.942179 2.034126 -0.07 0.11 -0.06
C 3.062722 -2.410067 1.690187 0.08 -0.02 0.01
C -5.000944 5.600229 -0.972937 0.04 -0.01 -0.02
C -4.795669 -3.017629 3.639183 0.00 -0.02 -0.02
C 4.144841 -3.887227 3.278779 0.04 0.01 -0.04
H -4.475234 -3.078154 1.504857 0.00 0.02 0.00
H 3.202099 -6.640578 0.143554 0.02 -0.01 0.03
H 5.035014 -4.407655 3.608718 0.00 0.04 0.03
H -2.566837 -1.901208 -0.152892 0.05 0.01 0.03
H 5.132386 -2.948067 1.625755 -0.01 -0.02 0.00
H -4.977609 -2.727962 5.755037 0.02 0.00 0.00
H 2.755786 -5.260656 1.178125 0.02 -0.03 -0.02
H 3.834984 -5.009797 -0.185068 -0.01 0.00 0.02
H 3.659510 4.765873 1.903401 -0.01 0.04 0.00
H -5.749118 3.280551 -2.178225 0.01 -0.01 -0.01
H 0.872300 -3.494621 4.029822 0.01 -0.01 -0.01
H -4.256498 1.054774 -4.278734 -0.01 -0.05 0.00
H 2.888188 -4.651215 4.848863 -0.01 -0.01 -0.02
H -4.126349 -1.044270 -0.242539 0.01 0.03 0.01
H -2.600227 -0.170913 -0.527422 0.01 0.03 0.02
H -3.678588 -0.610755 5.787332 0.01 -0.04 0.00
H -2.188054 0.558703 -3.504503 0.04 -0.01 -0.02
H -5.349922 -3.946660 3.657904 -0.01 0.02 0.00
H -2.296820 5.508717 -1.029568 -0.02 -0.01 0.00
H 3.626761 3.933580 -1.139880 0.01 0.03 0.04
H 4.743840 2.576092 2.259947 0.02 -0.02 0.03
H 2.696432 -0.604175 -3.788970 0.03 -0.03 -0.01
H 3.793834 2.304826 -4.257680 0.00 0.02 -0.04
H 1.363522 -7.311701 -1.298803 0.00 0.01 -0.01
H -4.815920 5.734139 0.094234 -0.04 0.00 0.00
H 4.947583 3.482926 -0.056577 0.04 0.04 -0.07
H 0.143000 3.219689 -2.493999 0.04 0.07 -0.02
H -6.056153 5.372909 -1.116731 0.00 0.01 0.02
H -2.218460 1.118962 3.932794 0.05 0.02 -0.03
H 2.036776 2.070097 -4.450229 0.02 0.03 -0.01
H 3.309008 1.777492 2.948084 0.04 -0.03 0.01